<<<
A structure of composition C32H30Cl5LaN7O2 in a non-equilibrium geometry, computed with ωB97M-V/def2-TZVPD.

Values from the calculation:
Frontier orbital gap ... 5.2354 eV
Strongest force on any atom ... 1.33 eV Å⁻¹
Net charge ... +3
Spin multiplicity ... 1
Relative energy (zero: lowest compared OMol25 entry of this formula, charge and spin) ... 5.65 kcal/mol
LUMO energy ... -7.823 eV

The geometry in XYZ format:
```
77
Properties=species:S:1:pos:R:3:mulliken_charge:R:1
La 0.550 -1.520 2.141 2.206
Cl -4.402 -2.885 7.614 -0.130
C -3.244 -2.945 6.362 0.403
C -2.727 -1.753 5.844 -0.365
Cl -3.228 -0.235 6.436 -0.152
C -1.789 -1.849 4.828 0.890
Cl -1.105 -0.366 4.119 -0.255
C -1.347 -3.061 4.310 -0.607
O -0.441 -3.034 3.327 -0.588
C -1.868 -4.239 4.832 0.431
Cl -1.315 -5.729 4.191 -0.167
C -2.816 -4.180 5.857 0.155
Cl -3.450 -5.627 6.494 -0.124
N 6.558 -3.489 1.345 -0.298
C 5.241 -2.906 0.823 0.149
C 4.382 -4.034 0.226 -1.525
C 3.031 -4.267 0.916 0.149
N 1.957 -3.316 0.474 -0.578
C 3.209 -4.249 2.429 -1.233
C 3.854 -2.965 2.993 0.157
N 2.839 -2.131 3.683 -0.683
C 4.543 -2.114 1.922 -0.880
H 7.062 -3.974 0.595 0.383
H 6.417 -4.170 2.095 0.327
H 7.181 -2.759 1.702 0.395
H 5.570 -2.218 0.045 0.459
H 4.920 -4.983 0.308 0.527
H 4.258 -3.879 -0.846 0.285
H 2.716 -5.269 0.623 0.495
H 1.120 -3.894 0.375 0.363
H 2.132 -3.009 -0.481 0.190
H 3.831 -5.108 2.694 0.369
H 2.256 -4.439 2.931 0.467
H 4.605 -3.267 3.733 0.389
H 3.302 -1.368 4.175 0.317
H 2.427 -2.694 4.428 0.256
H 5.236 -1.401 2.378 0.611
H 3.804 -1.498 1.398 -0.071
C -5.071 6.798 -7.981 -0.793
O -4.068 7.150 -7.025 -0.436
C -3.671 6.250 -6.122 1.003
C -4.260 5.001 -5.921 -0.547
C -3.745 4.156 -4.954 -0.776
C -2.652 4.531 -4.176 0.285
C -2.085 5.799 -4.370 -0.468
C -2.584 6.648 -5.325 -0.795
C -2.142 3.600 -3.186 0.362
N -2.682 2.432 -2.872 -0.797
C -1.866 1.906 -1.927 0.886
C -0.804 2.746 -1.644 -0.071
N -1.002 3.833 -2.456 -0.073
C 0.174 2.427 -0.673 0.180
C 1.253 3.255 -0.308 -0.524
C 2.134 2.868 0.666 -0.980
C 1.942 1.628 1.280 -0.069
N 0.943 0.821 0.954 -0.411
C 0.048 1.189 0.004 0.097
C -1.063 0.291 -0.291 0.386
N -1.179 -0.891 0.384 -0.533
C -2.226 -1.674 0.147 0.020
C -3.218 -1.368 -0.786 -0.969
C -3.111 -0.195 -1.488 -0.525
C -2.023 0.661 -1.245 0.271
H -4.891 7.435 -8.842 0.261
H -6.063 6.986 -7.571 0.329
H -4.977 5.758 -8.293 0.324
H -5.118 4.681 -6.492 0.371
H -4.201 3.189 -4.800 0.451
H -1.252 6.145 -3.769 0.240
H -2.160 7.628 -5.492 0.448
H -0.416 4.643 -2.562 0.188
H 1.380 4.216 -0.791 0.473
H 2.952 3.507 0.965 0.467
H 2.612 1.301 2.070 0.428
H -2.287 -2.590 0.728 0.477
H -4.045 -2.047 -0.933 0.473
H -3.845 0.106 -2.225 0.632
```

=====

A structure of composition C32H30F6I2N4O4P2S2Se4Ti in a non-equilibrium geometry, computed with ωB97M-V/def2-TZVPD.

Values from the calculation:
Frontier orbital gap ... 4.9708 eV
Strongest force on any atom ... 1.20 eV Å⁻¹
Net charge ... +2
Spin multiplicity ... 1
Relative energy (zero: lowest compared OMol25 entry of this formula, charge and spin) ... 34.07 kcal/mol
LUMO energy ... -7.481 eV

The geometry in XYZ format:
```
87
Properties=species:S:1:pos:R:3:mulliken_charge:R:1
Ti -1.220 -0.718 2.546 0.127
F 1.648 -2.420 6.379 -0.151
C 0.700 -1.534 6.548 0.676
F 0.816 -0.909 7.693 -0.177
F -0.505 -2.063 6.430 -0.172
S 0.958 -0.279 5.217 1.017
O 0.486 -0.922 3.953 -0.398
O 2.296 0.175 5.264 -0.580
N -0.133 0.864 5.639 -0.562
S -1.252 0.911 4.602 1.024
O -2.037 -0.366 4.443 -0.649
O -0.810 1.230 3.206 -0.086
C -2.526 2.195 5.086 0.509
F -3.457 2.120 4.169 -0.171
F -2.976 1.860 6.261 -0.146
F -1.932 3.351 5.079 -0.135
Se 2.053 -2.685 -2.869 -0.240
P 2.497 -0.765 -2.121 0.584
C 1.886 0.605 -3.102 0.427
C 1.446 0.362 -4.399 -0.818
C 1.025 1.422 -5.195 -0.786
C 1.051 2.722 -4.697 -0.784
C 1.495 2.967 -3.401 -1.431
C 1.910 1.911 -2.601 0.063
C 4.234 -0.418 -1.787 0.878
C 4.891 0.622 -2.451 -0.188
C 6.252 0.826 -2.252 -0.811
C 6.961 -0.005 -1.400 -0.455
C 6.318 -1.055 -0.754 -0.819
C 4.963 -1.274 -0.950 -0.464
C 1.582 -0.673 -0.511 0.051
>>>

Quote all of the data further above word for word.

A structure of composition C32H30Cl5LaN7O2 in a non-equilibrium geometry, computed with ωB97M-V/def2-TZVPD.

Values from the calculation:
Frontier orbital gap ... 5.2354 eV
Strongest force on any atom ... 1.33 eV Å⁻¹
Net charge ... +3
Spin multiplicity ... 1
Relative energy (zero: lowest compared OMol25 entry of this formula, charge and spin) ... 5.65 kcal/mol
LUMO energy ... -7.823 eV

The geometry in XYZ format:
```
77
Properties=species:S:1:pos:R:3:mulliken_charge:R:1
La 0.550 -1.520 2.141 2.206
Cl -4.402 -2.885 7.614 -0.130
C -3.244 -2.945 6.362 0.403
C -2.727 -1.753 5.844 -0.365
Cl -3.228 -0.235 6.436 -0.152
C -1.789 -1.849 4.828 0.890
Cl -1.105 -0.366 4.119 -0.255
C -1.347 -3.061 4.310 -0.607
O -0.441 -3.034 3.327 -0.588
C -1.868 -4.239 4.832 0.431
Cl -1.315 -5.729 4.191 -0.167
C -2.816 -4.180 5.857 0.155
Cl -3.450 -5.627 6.494 -0.124
N 6.558 -3.489 1.345 -0.298
C 5.241 -2.906 0.823 0.149
C 4.382 -4.034 0.226 -1.525
C 3.031 -4.267 0.916 0.149
N 1.957 -3.316 0.474 -0.578
C 3.209 -4.249 2.429 -1.233
C 3.854 -2.965 2.993 0.157
N 2.839 -2.131 3.683 -0.683
C 4.543 -2.114 1.922 -0.880
H 7.062 -3.974 0.595 0.383
H 6.417 -4.170 2.095 0.327
H 7.181 -2.759 1.702 0.395
H 5.570 -2.218 0.045 0.459
H 4.920 -4.983 0.308 0.527
H 4.258 -3.879 -0.846 0.285
H 2.716 -5.269 0.623 0.495
H 1.120 -3.894 0.375 0.363
H 2.132 -3.009 -0.481 0.190
H 3.831 -5.108 2.694 0.369
H 2.256 -4.439 2.931 0.467
H 4.605 -3.267 3.733 0.389
H 3.302 -1.368 4.175 0.317
H 2.427 -2.694 4.428 0.256
H 5.236 -1.401 2.378 0.611
H 3.804 -1.498 1.398 -0.071
C -5.071 6.798 -7.981 -0.793
O -4.068 7.150 -7.025 -0.436
C -3.671 6.250 -6.122 1.003
C -4.260 5.001 -5.921 -0.547
C -3.745 4.156 -4.954 -0.776
C -2.652 4.531 -4.176 0.285
C -2.085 5.799 -4.370 -0.468
C -2.584 6.648 -5.325 -0.795
C -2.142 3.600 -3.186 0.362
N -2.682 2.432 -2.872 -0.797
C -1.866 1.906 -1.927 0.886
C -0.804 2.746 -1.644 -0.071
N -1.002 3.833 -2.456 -0.073
C 0.174 2.427 -0.673 0.180
C 1.253 3.255 -0.308 -0.524
C 2.134 2.868 0.666 -0.980
C 1.942 1.628 1.280 -0.069
N 0.943 0.821 0.954 -0.411
C 0.048 1.189 0.004 0.097
C -1.063 0.291 -0.291 0.386
N -1.179 -0.891 0.384 -0.533
C -2.226 -1.674 0.147 0.020
C -3.218 -1.368 -0.786 -0.969
C -3.111 -0.195 -1.488 -0.525
C -2.023 0.661 -1.245 0.271
H -4.891 7.435 -8.842 0.261
H -6.063 6.986 -7.571 0.329
H -4.977 5.758 -8.293 0.324
H -5.118 4.681 -6.492 0.371
H -4.201 3.189 -4.800 0.451
H -1.252 6.145 -3.769 0.240
H -2.160 7.628 -5.492 0.448
H -0.416 4.643 -2.562 0.188
H 1.380 4.216 -0.791 0.473
H 2.952 3.507 0.965 0.467
H 2.612 1.301 2.070 0.428
H -2.287 -2.590 0.728 0.477
H -4.045 -2.047 -0.933 0.473
H -3.845 0.106 -2.225 0.632
```

=====

A structure of composition C32H30F6I2N4O4P2S2Se4Ti in a non-equilibrium geometry, computed with ωB97M-V/def2-TZVPD.

Values from the calculation:
Frontier orbital gap ... 4.9708 eV
Strongest force on any atom ... 1.20 eV Å⁻¹
Net charge ... +2
Spin multiplicity ... 1
Relative energy (zero: lowest compared OMol25 entry of this formula, charge and spin) ... 34.07 kcal/mol
LUMO energy ... -7.481 eV

The geometry in XYZ format:
```
87
Properties=species:S:1:pos:R:3:mulliken_charge:R:1
Ti -1.220 -0.718 2.546 0.127
F 1.648 -2.420 6.379 -0.151
C 0.700 -1.534 6.548 0.676
F 0.816 -0.909 7.693 -0.177
F -0.505 -2.063 6.430 -0.172
S 0.958 -0.279 5.217 1.017
O 0.486 -0.922 3.953 -0.398
O 2.296 0.175 5.264 -0.580
N -0.133 0.864 5.639 -0.562
S -1.252 0.911 4.602 1.024
O -2.037 -0.366 4.443 -0.649
O -0.810 1.230 3.206 -0.086
C -2.526 2.195 5.086 0.509
F -3.457 2.120 4.169 -0.171
F -2.976 1.860 6.261 -0.146
F -1.932 3.351 5.079 -0.135
Se 2.053 -2.685 -2.869 -0.240
P 2.497 -0.765 -2.121 0.584
C 1.886 0.605 -3.102 0.427
C 1.446 0.362 -4.399 -0.818
C 1.025 1.422 -5.195 -0.786
C 1.051 2.722 -4.697 -0.784
C 1.495 2.967 -3.401 -1.431
C 1.910 1.911 -2.601 0.063
C 4.234 -0.418 -1.787 0.878
C 4.891 0.622 -2.451 -0.188
C 6.252 0.826 -2.252 -0.811
C 6.961 -0.005 -1.400 -0.455
C 6.318 -1.055 -0.754 -0.819
C 4.963 -1.274 -0.950 -0.464
C 1.582 -0.673 -0.511 0.051